Published 2020-02-08

All Comments (20)
  • @shiba2ndworlder
    "How to get rid of ants in your house?" -A berserked punch -A BFG ball -A player rocket....
  • @spideraba769
    "What can gib a Zombieman?" *proceeds to list every damage source in the game*
  • @springster.5254
    >Be Imp >See Green Person >Decide to say hi >Gets 360 punched into a pile of mincemeat >"not nice"
  • This means the Revenant can literally punch things so hard they explode.
  • >be zombieman >Get your finger cut by paper >Suddenly get gibbed
  • @Ogryska
    How to deal with a child who does not behave well happy music starts playing 01. A berserked punch 02. A player rocket ...
  • "No demons were harmed in the making of this video" More like no demons were spared in the making of this video
  • @SevScout
    "no demons were harmed during ..." Literally the first frame: demons going sploosh
  • @TheBellTolls
    The 'g' is silent, so it's actually pronounced "ibbing"
  • @MrHinchapelotas
    "On the first day of Christmas, Carmack gave to me: a Berserk punch, a player rocket, a BFG ball, a Cyberdemon rocket, a telefrag. And an explosive barrel explosion."
  • 🎵on the 12th day of christmas, my true love gave to me... 12 exploding barrels 11 mancubus fireballs 10 arch-flame attacks 9 telefrags 8 cyberdemon rockets 7 baron of hell claw attacks 6 hell night claw attacks 5 revenant missles 4 bfg tracers 3 bfg balls 2 player rockets And a berserked player punch! 🎵
  • @DJL3G3ND
    what I really love in doom2016 is how when you gib, the helmet falls down after everything else, which I THINK is a reference to how the helmet lands last in the original gib animation
  • @spingebinge
    No demons we’re harmed in this video Something tells me that thats a big fat lie
# Calculated crystals from another source follow
[1]
For Na2SrSnC, a crystal structure in Alexandria, relaxed with GGA-PBE gives the simulated X-ray diffraction stick pattern in this record (Cu Kα X-rays).

Atomic structure:
```
data_Na2SrSnC
_symmetry_space_group_name_H-M 'P 1'
_symmetry_Int_Tables_number 1
_cell_length_a 6.959
_cell_length_b 6.959
_cell_length_c 6.197
_cell_angle_alpha 90.00
_cell_angle_beta 90.00
_cell_angle_gamma 90.00
loop_
_symmetry_equiv_pos_as_xyz
'x,y,z'
loop_
_atom_site_label
_atom_site_fract_x
_atom_site_fract_y
_atom_site_fract_z
Na1 0.000 0.500 0.000
Na2 0.500 0.000 0.000
Sr1 0.000 0.000 0.000
Sn1 0.000 0.000 0.500
C1 0.500 0.500 0.500
```

Main lines, by intensity (10° ≤ 2θ ≤ 90°):
2θ/deg  intensity  h k l
12.72  100  1 0 0
25.60  38  2 0 0
18.03  35  1 1 0
41.08  32  2 1 2
38.90  32  2 0 2
28.68  30  2 1 0
31.61  24  1 0 2
47.14  22  2 2 2
36.52  15  2 2 0
34.20  14  1 1 2



[2]
For NaTa3C, a crystal structure in Alexandria, relaxed with GGA-PBE gives the simulated X-ray diffraction stick pattern in this record (Cu Kα X-rays).

Atomic structure:
```
data_NaTa3C
_symmetry_space_group_name_H-M 'P 1'
_symmetry_Int_Tables_number 1
_cell_length_a 4.367
_cell_length_b 4.367
_cell_length_c 4.367
_cell_angle_alpha 90.00
_cell_angle_beta 90.00
_cell_angle_gamma 90.00
loop_
_symmetry_equiv_pos_as_xyz
'x,y,z'
loop_
_atom_site_label
_atom_site_fract_x
_atom_site_fract_y
_atom_site_fract_z
Na1 0.000 0.000 0.000
Ta1 0.000 0.500 0.500
Ta2 0.500 0.000 0.500
Ta3 0.500 0.500 0.000
C1 0.500 0.500 0.500
```

Main lines, by intensity (10° ≤ 2θ ≤ 90°):
2θ/deg  intensity  h k l
35.61  100  1 1 1
41.35  54  2 0 0
71.67  40  3 1 1
59.91  36  2 2 0
20.34  28  1 0 0
28.91  17  1 1 0
46.50  13  2 1 0
75.40  12  2 2 2
51.24  8  2 1 1
63.95  6  3 0 0



[3]
For Na2TeC, a crystal structure in Alexandria, relaxed with GGA-PBE gives the simulated X-ray diffraction stick pattern in this record (Cu Kα X-rays).

Atomic structure:
```
data_Na2TeC
_symmetry_space_group_name_H-M 'P 1'
_symmetry_Int_Tables_number 1
_cell_length_a 10.135
_cell_length_b 10.135
_cell_length_c 4.597
_cell_angle_alpha 90.00
_cell_angle_beta 90.00
_cell_angle_gamma 90.00
loop_
_symmetry_equiv_pos_as_xyz
'x,y,z'
loop_
_atom_site_label
_atom_site_fract_x
_atom_site_fract_y
_atom_site_fract_z
Na1 0.005 0.750 0.125
Na2 0.250 0.005 0.875
Na3 0.250 0.495 0.375
Na4 0.495 0.750 0.625
Na5 0.505 0.250 0.625
Na6 0.750 0.505 0.375
Na7 0.750 0.995 0.875
Na8 0.995 0.250 0.125
Te1 0.000 0.000 0.500
Te2 0.000 0.500 0.750
Te3 0.500 0.000 0.250
Te4 0.500 0.500 0.000
C1 0.000 0.000 0.000
C2 0.000 0.500 0.250
C3 0.500 0.000 0.750
C4 0.500 0.500 0.500
```

Main lines, by intensity (10° ≤ 2θ ≤ 90°):
2θ/deg  intensity  h k l
17.50  100  2 0 0
27.64  76  2 1 1
37.50  34  3 2 1
35.43  31  4 0 0
48.76  26  3 1 2
39.78  24  4 2 0
41.25  21  1 1 2
21.22  20  1 0 1
24.85  17  2 2 0
52.55  13  5 2 1
  • @MarixEm
    everytime i see the yellow thumbnail i know there is quality content
  • @nightsoul150
    “No demons were harmed in the making of this” Doomguy: lets fix that
  • @SamekhAniki
    Gibs are actually inspired on a mechanic from D&D, which when someone or something deals damage to a player more than or equal to the double of that player's health points plus 1, that player dies instantly, without having a chance to roll saving throws, which can have the player recovered from being killed and get back on game with only 1 HP. Judging DOOM has strong inspirations from D&D, as their developers used to have a session every time, they decided to implement it on the game they were making.
  • @Puffie40
    Fun fact: while not directly related to Gibbing, you can squish corpses in doors. The Sprite will change out to a mushy pile in a manner similar to crushers.
  • @Okusar
    When you've played so much Doom you can practically hear the thumbnail.
  • Seeing an Archie just completely immolate an SS soilder is just... Beautiful, poetry in motion